Apple bans app that brings iMessage to Android

Apple bans app that brings iMessage to Android

Technology giant Apple, iMessage bringing its service to Android Beeper Mini He made an official statement about banning the application.

The newest application that integrates the iMessage infrastructure into the Android world was released last week. Beeper Mini had happened. Beeper Mini without needing to sign in with Apple ID or running iMessage on a server An app that brings iMessage to Android And According to those who tried it, it really worked. After the seven-day trial period of the application, there is a monthly usage fee of $2. was located, The official statement about Beeper Mini was as follows: “Beeper Mini is a full-featured chat app designed for chatting with your iPhone-using friends. When your iPhone friends send you a message, the message bubble appears blue. Beeper Mini protects your chats with end-to-end encryption. No Apple ID required.” Apple did not like this practice at all and the company still It blocked the Beeper Mini, although it is not known exactly how.


On this subject, one of the names behind Beeper said, “All data points to Apple blocking Beeper Mini’s reverse-engineered infrastructure.” he said, He stated that the solution was on the way. However, this solution seems to never come because Apple officially announced the ban And He stated that they are determined to keep the doors of the service closed.. The official statement on this subject is as follows: happened:

### Materials data from another source follow
'''
Entry 1:
RbOsNO3: relaxed, PBE.

Unit cell a=5.840 b=5.969 c=14.222 alpha=90.00 beta=90.00 gamma=90.00
Atoms (fractional coordinates):
Rb1 0.028 0.249 0.125
Rb2 0.472 0.751 0.625
Rb3 0.528 0.251 0.875
Rb4 0.972 0.749 0.375
Os1 0.036 0.751 0.871
Os2 0.464 0.249 0.371
Os3 0.536 0.749 0.129
Os4 0.964 0.251 0.629
N1 0.013 0.019 0.563
N2 0.487 0.981 0.063
N3 0.513 0.481 0.437
N4 0.987 0.519 0.937
O1 0.016 0.488 0.559
O2 0.155 0.246 0.725
O3 0.175 0.255 0.333
O4 0.325 0.745 0.833
O5 0.345 0.754 0.225
O6 0.484 0.512 0.059
O7 0.516 0.012 0.441
O8 0.655 0.254 0.275
O9 0.675 0.245 0.667
O10 0.825 0.755 0.167
O11 0.845 0.746 0.775
O12 0.984 0.988 0.941

Size of the total moment = 0.00 μB/f.u.
DFT formation energy = -1.295 eV per atom
Density = 4.52 g cm⁻³
Uncorrected energy = -41.1 eV/f.u.



Entry 2:
Na14Sc4Ti4Si9S3O48: relaxed, PBE.

Unit cell a=9.075 b=15.731 c=22.292 alpha=89.76 beta=89.98 gamma=89.95
Atoms (fractional coordinates):
Na1 0.000 0.000 0.000
Na2 0.000 0.657 0.658
Na3 0.002 0.961 0.329
Na4 0.032 0.647 0.334
Na5 0.049 0.309 0.996
Na6 0.058 0.978 0.660
Na7 0.173 0.136 0.576
Na8 0.174 0.473 0.414
Na9 0.176 0.815 0.252
Na10 0.181 0.813 0.746
Na11 0.183 0.470 0.916
Na12 0.184 0.140 0.080
Na13 0.306 0.984 0.165
Na14 0.320 0.308 0.492
Na15 0.321 0.644 0.830
Na16 0.358 0.962 0.828
Na17 0.360 0.658 0.162
Na18 0.360 0.993 0.498
Na19 0.369 0.629 0.499
Na20 0.375 0.289 0.167
Na21 0.485 0.791 0.663
Na22 0.492 0.130 0.002
Na23 0.500 0.487 0.002
Na24 0.501 0.157 0.659
Na25 0.504 0.459 0.330
Na26 0.542 0.810 0.998
Na27 0.543 0.144 0.330
Na28 0.554 0.481 0.660
Na29 0.676 0.640 0.576
Na30 0.679 0.973 0.413
Na31 0.684 0.309 0.250
Na32 0.685 0.313 0.751
Na33 0.687 0.975 0.914
Na34 0.690 0.636 0.082
Na35 0.801 0.478 0.163
Na36 0.811 0.810 0.494
Na37 0.827 0.147 0.834
Na38 0.857 0.457 0.830
Na39 0.859 0.499 0.497
Na40 0.862 0.157 0.166
Na41 0.871 0.793 0.172
Na42 0.986 0.291 0.669
Sc1 0.166 0.136 0.731
Sc2 0.169 0.147 0.933
Sc3 0.178 0.811 0.100
Sc4 0.181 0.139 0.233
Sc5 0.183 0.486 0.560
Sc6 0.188 0.811 0.597
Sc7 0.669 0.639 0.731
Sc8 0.672 0.311 0.099
Sc9 0.678 0.986 0.062
Sc10 0.682 0.310 0.598
Sc11 0.692 0.646 0.432
Sc12 0.694 0.638 0.231
Ti1 0.174 0.820 0.402
Ti2 0.175 0.476 0.767
Ti3 0.180 0.475 0.268
Ti4 0.184 0.488 0.056
Ti5 0.185 0.137 0.427
Ti6 0.198 0.814 0.895
Ti7 0.659 0.639 0.932
Ti8 0.666 0.308 0.391
Ti9 0.676 0.989 0.554
Ti10 0.681 0.977 0.767
Ti11 0.685 0.319 0.902
Ti12 0.695 0.985 0.273
Si1 0.027 0.990 0.832
Si2 0.031 0.294 0.830
Si3 0.031 0.962 0.500
Si4 0.036 0.666 0.497
Si5 0.038 0.620 0.164
Si6 0.318 0.291 0.332
Si7 0.323 0.667 0.997
Si8 0.324 0.624 0.666
Si9 0.330 0.957 0.999
Si10 0.332 0.991 0.330
Si11 0.386 0.311 0.999
Si12 0.394 0.978 0.664
Si13 0.467 0.478 0.164
Si14 0.474 0.811 0.499
Si15 0.527 0.491 0.831
Si16 0.529 0.168 0.498
Si17 0.533 0.124 0.167
Si18 0.533 0.455 0.497
Si19 0.540 0.792 0.832
Si20 0.822 0.120 0.664
Si21 0.824 0.166 0.997
Si22 0.830 0.462 0.999
Si23 0.830 0.794 0.330
Si24 0.833 0.491 0.332
Si25 0.888 0.478 0.664
'''

“At Apple, we enhance our products and services with industry-leading privacy and security technologies designed to give users complete control over their data and keep personal information safe. In this context We have taken steps to protect our users by blocking techniques that use fraudulent credentials to access iMessage. These techniques pose significant threats to user security and privacy, including the risks of exposing key metadata and enabling spam messages and phishing attacks. We will continue to make updates to this issue in the future to protect our users..”


For those who don’t know iMessage is among the most important elements of the Apple ecosystem. This messaging infrastructure works through the built-in messaging application, and people are classified with different colors according to the devices they use. The color of a message bubble you receive blue from iPhone, green It comes from an Android phone (only SMS, not data). internet giant Google He has been very critical of exactly this for a long time.

The company believes that this situation is especially important among young people. “Pressure to buy iPhone” created and often He claims it has led to the exclusion of Android users. It is reported that this situation, which is especially seen in group chats, has reached the point of despising a person who has a green balloon in his name, that is, an Android user, and it is requested that this be changed specifically for iMessage.

Stating that Apple should not benefit from the bullying that occurs here, GoogleHe also wanted Apple to stop seeing Android users as “second-class citizens”, but Apple did not listen to this. Last month, under the influence of all the pressure, especially the European Union, Apple took a step back and Announced that they will officially adopt the RCS standard in 2024.
